### Data
/*
1.
An isolated molecule of C6H9NO2 at a distorted geometry. Source: OMol25; level of theory: ωB97M-V/def2-TZVPD.

Summary:
* multiplicity: 1
* SMILES: CC(=O)/C=C(/N)C(C)=O
* highest occupied orbital energy: -8.65 eV
* LUMO energy: -0.69 eV
* frontier orbital gap: 7.959 eV
* net charge: 0

Last column: Löwdin charge in e.
Element x y z (Å)
C1 0.829 0.056 2.285  -0.0228
C2 0.091 -0.701 1.209  -0.3923
O1 -0.032 -1.909 1.224  0.0786
C3 -1.298 0.256 0.520  0.0854
C4 -0.922 0.644 -0.665  -0.3477
N1 -1.318 1.539 -1.614  0.1221
C5 0.525 0.046 -0.749  -0.4405
C6 0.563 -1.225 -1.583  0.0012
O2 1.460 0.868 -0.716  0.0746
H1 0.268 -0.007 3.219  0.0930
H2 1.813 -0.396 2.427  0.0907
H3 0.974 1.099 2.002  0.0804
H4 -2.125 0.149 1.195  0.0885
H5 -0.530 1.970 -2.090  0.1061
H6 -2.033 2.196 -1.328  0.1036
H7 1.469 -1.773 -1.320  0.0935
H8 -0.298 -1.860 -1.378  0.0886
H9 0.565 -0.952 -2.640  0.0971

=====

2.
A 2-piece molecular cluster, C11H14BNO5 overall. Source: OMol25; level of theory: ωB97M-V/def2-TZVPD.

Summary:
* multiplicity: 1
* SMILES: O=C1c2ccccc2C(=O)N1CB(O)O.CCO
* highest occupied orbital energy: -9.97 eV
* LUMO energy: -0.44 eV
* frontier orbital gap: 9.522 eV
* net charge: 0

Last column: Löwdin charge in e.
Element x y z (Å)
O1 0.960 -0.023 1.203  0.1415
C1 0.552 0.766 0.388  -0.3512
C2 -0.072 0.473 -0.931  -0.0745
C3 -0.093 -0.684 -1.683  0.0007
C4 -0.776 -0.633 -2.892  -0.0469
C5 -1.426 0.534 -3.309  -0.0529
C6 -1.388 1.697 -2.548  0.0074
C7 -0.691 1.642 -1.356  -0.0824
C8 -0.430 2.701 -0.345  -0.3493
O2 -0.917 3.794 -0.272  0.1490
N1 0.516 2.165 0.587  0.0240
C9 1.828 2.832 0.675  -0.0108
B1 2.699 2.251 1.897  -0.6230
O3 3.882 1.600 1.636  0.1648
O4 2.294 2.450 3.192  0.1673
H1 0.413 -1.575 -1.347  0.1150
H2 -0.803 -1.524 -3.504  0.1116
H3 -1.965 0.531 -4.247  0.1068
H4 -1.882 2.605 -2.863  0.1233
H5 2.366 2.702 -0.274  0.1240
H6 1.670 3.900 0.823  0.1269
H7 3.749 0.970 0.922  0.1014
H8 1.404 2.103 3.310  0.1086
C10 -1.538 -4.091 1.858  -0.0894
C11 -0.829 -3.054 1.008  -0.3192
O5 -1.395 -2.960 -0.303  -0.0970
H9 -1.498 -5.070 1.378  0.0754
H10 -1.079 -4.166 2.845  0.0756
H11 -2.590 -3.828 1.989  0.0727
H12 0.217 -3.324 0.866  0.1143
H13 -0.858 -2.074 1.493  0.1010
H14 -2.318 -2.709 -0.198  0.0854

=====

3.
An isolated molecule of F2H2Si at a distorted geometry. Source: OMol25; level of theory: ωB97M-V/def2-TZVPD.

Summary:
* multiplicity: 1
* SMILES: F[SiH2]F
* highest occupied orbital energy: -10.96 eV
* LUMO energy: 0.40 eV
* frontier orbital gap: 11.363 eV
* net charge: 0

Last column: Löwdin charge in e.
Element x y z (Å)
F1 -0.734 -1.441 0.317  -0.1866
Si1 0.105 -0.145 -0.036  0.4495
F2 0.756 0.131 -1.475  -0.1995
H1 0.856 0.447 1.160  -0.0314
H2 -0.982 1.008 0.034  -0.0319

=====

4.
C69H55IN3OP2PdS2Sb as an isolated structure. Source: OMol25; level of theory: ωB97M-V/def2-TZVPD.

Summary:
* multiplicity: 1
* highest occupied orbital energy: -12.59 eV
* LUMO energy: -5.89 eV
* frontier orbital gap: 6.697 eV
* net charge: +2

Last column: Löwdin charge in e.
Element x y z (Å)
Pd1 0.073 -0.706 -0.219  0.3764
O1 0.091 -2.419 2.863  -0.0442
C1 -1.112 -3.081 2.990  -0.2608
C2 -1.550 -3.595 4.205  -0.0070
C3 -2.723 -4.326 4.242  -0.0373
C4 -3.448 -4.555 3.079  -0.0452
C5 -3.036 -3.980 1.892  -0.0716
C6 -1.875 -3.202 1.836  -0.2794
P1 -1.605 -2.277 0.287  1.0278
C7 -3.255 -1.481 0.175  -0.3839
C8 -3.882 -1.161 -1.025  -0.1498
C9 -5.106 -0.508 -1.039  -0.0650
C10 -5.722 -0.159 0.150  -0.0665
C11 -5.101 -0.455 1.355  -0.0661
C12 -3.882 -1.109 1.369  -0.1251
C13 -1.455 -3.678 -0.867  -0.3601
C14 -0.445 -4.583 -0.537  -0.1070
C15 -0.226 -5.707 -1.310  -0.0699
C16 -1.005 -5.934 -2.440  -0.0629
C17 -2.009 -5.040 -2.773  -0.0560
C18 -2.241 -3.918 -1.985  -0.0766
C19 1.257 -3.154 2.952  -0.2476
C20 1.419 -4.286 3.739  0.0122
C21 2.681 -4.847 3.853  -0.0409
C22 3.772 -4.283 3.211  -0.0554
C23 3.584 -3.193 2.382  -0.0695
C24 2.312 -2.648 2.197  -0.2600
P2 2.049 -1.245 1.082  1.1063
C25 2.360 0.131 2.229  -0.3446
*/

### Job
Now say how many lines of the contents further up hold the word "P1", as a bare number.

### Worked solution
1